With TV so loud, no one's listening
The Boston Globe
November 6, 2020
By Barbara Meltz
To steal a line from a '50s TV show, ''What a revoltin' development this is.''
A stunning study released last week shows that two-thirds of the nation's children under 6, including those as young as 6 months old, spend an average of two hours a day in front of a TV, computer, or video screen and -- get this -- a third of them have a TV in their bedroom, some with remote controls marketed specially for clumsy toddler fingers. How thoughtful.
The study, conducted by the Henry J. Kaiser Family Foundation, is significant for several reasons. It's the first large-scale study of media use by the nation's youngest children, 6 months to 6 years old; 1,065 families were interviewed. It also confirms the worst fears of researchers and clinicians.
''My reaction was fatalistic dismay,'' says pediatrician Michael Rich, director of the Center on Media and Child Health at Children's Hospital. ''I knew this was out there. I was surprised by how widespread it is and how young it starts.''
Rich had been hopeful that parents were heeding the advice of an American Academy of Pediatrics policy statement that he helped write two years ago. It says children under 2 should not watch TV at all, and no child, of any age, should have a TV in the bedroom.
Sadly, that message, which made front-page headlines across the country at the time, hasn't gotten through.
Aren't parents listening? Don't we care?
Of course we do. It's because we care so much that we buy into the feverish marketing that tells us it's software and educational videos that will boost our child's brainpower rather than our storytelling and a romp through a pile of leaves. Are we so busy, exhausted, and unimaginative, though, that we can't see it's better to put a toddler on the kitchen floor with two wooden spoons while we make dinner than to plunk him in front of a video? Even if it's educational in nature, researchers say that exposing young children to anything on a screen is likely to do more harm than good.
''It threatens to erode aspects of childhood that are crucial to social, emotional, and cognitive development,'' says Temple University psychologist Kathy Hirsh-Pasek. She is author of ''Einstein Never Used Flash Cards: How Our Children REALLY Learn'' (Rodale).
**Materials data, kept here for reference:**
- - -
The following is a calculated X-ray diffraction stick pattern of Cu3I6O20. It was derived from DFT lattice parameters and positions (PBE), using λ = 1.5418 Å (Cu Kα).
Lines closer than 0.1° are merged.

Structure:
Lattice parameters (Å, degrees): 7.262 7.782 8.174 105.50 95.19 93.63
Space group P-1 (No. 2)
Inequivalent atoms, fractional coordinates:
Cu1 0.000 0.000 0.000 (multiplicity 1)
Cu2 0.419 0.375 0.587 (multiplicity 2)
I1 0.143 0.600 0.853 (multiplicity 2)
I2 0.184 0.853 0.403 (multiplicity 2)
I3 0.396 0.124 0.863 (multiplicity 2)
O1 0.070 0.817 0.817 (multiplicity 2)
O2 0.081 0.530 0.182 (multiplicity 2)
O3 0.160 0.166 0.938 (multiplicity 2)
O4 0.194 0.081 0.548 (multiplicity 2)
O5 0.204 0.524 0.632 (multiplicity 2)
O6 0.250 0.897 0.206 (multiplicity 2)
O7 0.399 0.418 0.368 (multiplicity 2)
O8 0.416 0.812 0.495 (multiplicity 2)
O9 0.418 0.347 0.821 (multiplicity 2)
O10 0.470 0.810 0.927 (multiplicity 2)

Most intense lines, 10 to 90 degrees two-theta, in order of rising 2θ:
(hkl)  Position (°2θ)  Rel. int.
0 1 -2  22.57  35
1 1 1  23.58  100
1 0 -2  24.65  44
1 -2 1  26.08  64
2 -1 0  26.48  96
2 1 -1  28.34  43
2 1 0  28.48  33
0 2 1  29.19  37
-1 2 1  30.36  36
1 1 -3  34.41  33

=====

The following is a calculated X-ray diffraction stick pattern of Ho2Al. It was derived from DFT lattice parameters and positions (PBE), using λ = 1.5418 Å (Cu Kα).
Lines closer than 0.1° are merged.

Structure:
Lattice parameters (Å, degrees): 6.529 5.078 9.412 90.00 90.00 90.00
Space group Pnma (No. 62)
Inequivalent atoms, fractional coordinates:
Ho1 0.027 0.250 0.210 (multiplicity 4)
Ho2 0.188 0.250 0.573 (multiplicity 4)
Al1 0.208 0.250 0.897 (multiplicity 4)

Most intense lines, 10 to 90 degrees two-theta, in order of rising 2θ:
(hkl)  Position (°2θ)  Rel. int.
1 0 2  23.30  31
1 1 1  24.13  57
1 1 2  29.27  44
2 1 0  32.61  39
2 0 2  33.41  49
0 1 3  33.58  100
2 1 1  34.01  96
0 2 0  35.35  59
2 2 2  49.43  34
3 1 4  60.76  35

* * * * *

Calculated powder diffraction line list of LiFePO4 for Cu Kα (λ = 1.5418 Å), from a crystal structure in the Materials Project, relaxed with GGA+U.
Neutral-atom scattering factors, no anomalous dispersion.

Structural model:
```
data_LiFePO4
_symmetry_space_group_name_H-M 'P -1'
_symmetry_Int_Tables_number 2
_cell_length_a 4.606
_cell_length_b 5.256
_cell_length_c 7.524
_cell_angle_alpha 89.62
_cell_angle_beta 76.94
_cell_angle_gamma 76.19
loop_
_symmetry_equiv_pos_as_xyz
'x,y,z'
'-x,-y,-z'
loop_
_atom_site_label
_atom_site_fract_x
_atom_site_fract_y
_atom_site_fract_z
Li1 0.226 0.285 0.014
Fe1 0.454 0.235 0.396
P1 0.146 0.807 0.260
O1 0.141 0.657 0.087
O2 0.188 0.088 0.623
O3 0.297 0.042 0.206
O4 0.334 0.623 0.381
```

Most intense lines, 15 to 90 degrees two-theta, by angle:
2θ (°), Rel. int., (hkl)
20.41, 15, 1 0 0
24.57, 27, 1 1 1
26.13, 100, 1 0 -1
28.19, 16, 1 1 -1
29.32, 30, 0 1 -2
30.27, 39, 1 -1 1
31.02, 48, 1 1 2
35.20, 23, 0 2 0
39.34, 19, 1 2 -1
40.52, 18, 1 1 3
- - -
At the crux of this is how the human brain develops.
Unlike other organs, which at birth are miniature versions of what they will be in the adult human body, an infant's brain continues to evolve for another 24 months, weeding out neural connections that don't get used. If a child is hearing-impaired, for instance, the brain will prune circuits that process spoken language and reroute those cells into visual circuits, says psychologist Jane Healy of Vail, Colo., a specialist in how children learn.
Exposure to screens tends to shut down the circuits responsible for social interaction and deductive reasoning. ''Those circuits are stimulated by direct, interpersonal connections with parents and the environment: eye contact, gesture, responsiveness, trial and error,'' says Healy. She is author of ''Your Child's Growing Mind, Revised edition'' (Doubleday) and ''Failure to Connect, How Computers Affect Our Children's Minds'' (Simon & Schuster).
As a result, these children become passive learners, dependent on external sources (the screen, for example, or someone else's ideas) for intellectual stimulation. ''They won't know how to problem-solve or think outside the box. They will not be leaders of the 21st century,'' says Hirsh-Pasek.
What Hirsh-Pasek hears from parents is that educational programming can't be bad; their children are learning their ABCs from it. She won't dispute that that is possible, but it's not optimal.
''A toddler who learns from the screen is learning by rote,'' she says. The learning isn't deep or meaningful. You hide an object from a baby under a towel and it disappears. You remove the towel and it reappears. That action could happen on a screen. But the delight on Mama's face? The excitement in her voice? The love that shows in her eyes? That positive reinforcement can happen only in person.
Even when the content of a program is educational and age appropriate, Hirsh-Pasek still won't sign onto it for children under 3. ''I can't say that watching one `Einstein' video has an ill effect on a child,'' she says. ''But it's a trade-off. It's robbing precious time better spent on something else.''
The something else often eludes parents. Hirsh-Pasek says that even on days when she was worn out, she would gather her 2- or 3-year-old on her bed for a game of ''Where am I?'' ''I close my eyes and I'm thinking of a place with. . .'' If her children were too full of energy to lie down with her, she'd wear them out first: ''You have to run, run, run around the house for five minutes! You can't stop!''
Here are some other potential problems stemming from TV viewing at a young age:
The need to be entertained grows rather than shrinks. Early-childhood educator Diane Levin of Wheelock College says that the more children watch and the younger they are, the less opportunity they have to figure out how to entertain themselves, and the more dependent they are on the screen. She's been hearing for several years from preschool teachers who say many children don't know how to engage in pretend play anymore. Levin is author of ''Remote Control Childhood? Combatting the Hazards of Media Culture'' (NAEYC Press). Chat with Barbara Meltz at noon next Wednesday at www.boston.com.
Shortened attention span. Even if a toddler is playing by himself in front of the TV and even if the program is age-appropriate, her attention will be grabbed by the sounds and images on the screen. Bouncing back and forth from play to screen not only creates an appetite for constant stimulation but also diminishes the ability to stay focused on any one thing, says Rich. By first grade, this can translate to difficulty staying on task as well as to a lower threshold for frustration.
Increased irritability and aggression. According to the Kaiser study, two-thirds of children under 6 are growing up in homes where TV is on half the time or more, even if no one is watching. Rich equates this with second-hand smoke and says there's clinical evidence the exposure has a cumulative effect. ''You might not see it for a while,'' maybe years, he says, but as they get older, children with second-hand exposure are more jittery and nervous, more irritable and more aggressive. The younger they are when it starts, the greater the accumulation.
When parents are the ones who spend lots of time in front of the TV, it becomes a de facto endorsement not only of TV-watching behavior (''This is what I need to do to be like Mom and Dad.''), but also of the images and messages they watch (''Mom watches this, so it must be OK. This is what the world is about.''). If programming contains violent imagery, it can lead to disturbed sleep.
Which brings Rich and others back to the APA recommendation two years ago. ''Children under 2 should not be exposed to a screen at all,'' he reiterates. ''Older than 2, no more than two hours a day,'' not at mealtime, and only after outdoor playtime, time for coloring, and time for reading.
To any parent who sees screen time as benign, Healy says, ''If you want to fool around with your child this way, that's up to you. I surely wouldn't recommend it.'' On the other hand, she says with a touch of irony, ''I probably should be thankful to these parents. They are giving us their kids as the guinea pigs of the future.''